What is needed: write out the part of the notes underneath that starts with the line with "-2.707" and stops after the one with "3.460 -0.133".

********
Run 1
Here is a cluster of 2 separate species, CH2NO2S2 in total from the OMol25 dataset. Energies are from wB97M-V/def2-TZVPD.

Summary:
Highest occupied orbital energy (alpha / beta) = -2.4 / -2.5 eV
HOMO-LUMO gap (alpha / beta) = 5.82 / 6.01 eV
LUMO energy (alpha / beta) = 0.12564 / 0.12751 hartree

Structure (ORCA input):
```
! RIJCOSX wB97M-V def2-TZVPD def2/J DEFGRID3
* xyz -1 1
C 0.516 -1.047 0.038
N 1.118 0.124 -0.054
O -1.072 1.565 0.427
O -2.716 0.426 -0.875
S 1.300 -2.496 0.048
S -1.995 0.428 0.360
H 2.141 0.128 -0.396
H 0.708 0.872 0.451
*
```


Run 2
Here is a cluster of 2 separate species, CH2NO2S2 in total from the OMol25 dataset. Energies are from wB97M-V/def2-TZVPD.

Summary:
Highest occupied orbital energy (alpha / beta) = -5.0 / -1.9 eV
HOMO-LUMO gap (alpha / beta) = 8.27 / 4.01 eV
LUMO energy (alpha / beta) = 0.11989 / 0.07617 hartree

Structure (ORCA input):
```
! RIJCOSX wB97M-V def2-TZVPD def2/J DEFGRID3
* xyz -1 1
C 1.522 -0.954 -0.387
N 1.009 0.160 0.145
O -1.526 1.245 -0.244
O -3.499 -0.263 0.006
S 3.045 -1.429 -0.127
S -2.103 -0.149 -0.353
H 1.462 0.885 0.824
H 0.089 0.505 0.136
*
```


Which one sits at the top of the stability order? run 1 does.


Run 1
Here is a cluster of 10 separate species, H22NO9 in total from the OMol25 dataset. Energies are from wB97M-V/def2-TZVPD.

Summary:
Highest occupied orbital energy = -13.2 eV
HOMO-LUMO gap = 9.92 eV
LUMO energy = -0.11982 hartree

Structure (ORCA input):
```
! RIJCOSX wB97M-V def2-TZVPD def2/J DEFGRID3
* xyz 1 1
N -0.129 0.415 -0.389
H 0.020 1.384 0.063
H 0.278 0.323 -1.317
H -1.072 0.331 -0.963
H -0.040 -0.277 0.222
O -0.893 2.313 -2.661
H -0.553 3.119 -2.707
H -1.708 2.649 -2.561
O 2.132 0.713 1.888
H 1.504 1.211 2.573
H 2.939 0.352 2.372
O -0.369 -2.774 0.356
H -1.349 -3.016 0.148
H 0.085 -2.948 -0.467
O 0.974 -2.717 -2.087
H 1.732 -3.362 -1.875
H 1.293 -2.008 -2.781
O -1.287 -0.430 2.702
H -2.249 -0.188 2.633
H -1.237 -0.644 3.642
O -3.314 -0.382 -1.833
H -3.176 0.578 -1.795
H -3.014 -0.647 -2.670
O 1.495 -2.194 2.177
H 0.913 -2.496 1.404
H 1.185 -1.311 2.159
O -1.198 3.455 0.913
H -0.547 3.673 1.625
H -1.328 4.246 0.355
O 2.865 0.429 -0.658
H 3.087 -0.412 -0.842
H 2.961 0.616 0.373
*
```


Run 2
Here is a cluster of 10 separate species, H22NO9 in total from the OMol25 dataset. Energies are from wB97M-V/def2-TZVPD.

Summary:
Highest occupied orbital energy = -13.4 eV
HOMO-LUMO gap = 9.72 eV
LUMO energy = -0.13556 hartree

Structure (ORCA input):
```
! RIJCOSX wB97M-V def2-TZVPD def2/J DEFGRID3
* xyz 1 1
N -0.635 -16.217 -14.826
H -1.360 -15.915 -14.191
H -0.280 -17.139 -14.615
H 0.178 -15.618 -14.822
H -1.178 -16.196 -15.678
O 1.544 -19.703 -13.805
H 2.186 -20.343 -14.112
H 1.558 -19.789 -12.851
O 1.187 -13.920 -19.089
H 0.867 -13.187 -18.563
H 1.558 -13.510 -19.870
O -3.370 -16.390 -17.959
H -3.209 -16.529 -18.892
H -3.592 -17.258 -17.622
O -3.591 -11.623 -16.663
H -3.254 -12.174 -17.370
H -4.211 -11.034 -17.093
O -3.550 -15.471 -10.819
H -3.486 -15.136 -9.925
H -4.216 -14.922 -11.234
O 2.852 -14.139 -13.442
H 3.720 -14.232 -13.837
H 2.591 -13.242 -13.648
O 1.515 -13.168 -9.481
H 0.646 -13.261 -9.090
H 1.403 -13.459 -10.386
O -1.066 -11.763 -13.076
H -1.027 -11.164 -12.330
H -1.845 -11.492 -13.561
O 4.826 -13.660 -17.672
H 5.033 -13.073 -18.399
H 3.884 -13.816 -17.750
*
```


Which one sits at the top of the stability order? run 2 does.


Run 1
Here is an isolated molecule of C4H11NS from the OMol25 dataset. Energies are from wB97M-V/def2-TZVPD.

Summary:
Highest occupied orbital energy = -8.3 eV
HOMO-LUMO gap = 9.37 eV
LUMO energy = 0.03930 hartree

Structure (ORCA input):
```
! RIJCOSX wB97M-V def2-TZVPD def2/J DEFGRID3
* xyz 0 1
C 2.914 -0.911 0.777
C 1.668 -1.124 0.011
S 0.649 0.425 0.037
C -0.930 -0.344 -0.307
N -2.162 0.294 0.229
C -2.831 1.216 -0.701
H 3.658 -1.706 0.746
H 3.460 -0.133 0.217
H 2.564 -0.439 1.766
H 1.779 -1.248 -1.129
H 1.129 -1.940 0.348
H -1.011 -0.531 -1.328
H -0.746 -1.347 0.133
H -1.976 0.836 1.164
********

H -0.553 3.119 -2.707
H -1.708 2.649 -2.561
O 2.132 0.713 1.888
H 1.504 1.211 2.573
H 2.939 0.352 2.372
O -0.369 -2.774 0.356
H -1.349 -3.016 0.148
H 0.085 -2.948 -0.467
O 0.974 -2.717 -2.087
H 1.732 -3.362 -1.875
H 1.293 -2.008 -2.781
O -1.287 -0.430 2.702
H -2.249 -0.188 2.633
H -1.237 -0.644 3.642
O -3.314 -0.382 -1.833
H -3.176 0.578 -1.795
H -3.014 -0.647 -2.670
O 1.495 -2.194 2.177
H 0.913 -2.496 1.404
H 1.185 -1.311 2.159
O -1.198 3.455 0.913
H -0.547 3.673 1.625
H -1.328 4.246 0.355
O 2.865 0.429 -0.658
H 3.087 -0.412 -0.842
H 2.961 0.616 0.373
*
```


Run 2
Here is a cluster of 10 separate species, H22NO9 in total from the OMol25 dataset. Energies are from wB97M-V/def2-TZVPD.

Summary:
Highest occupied orbital energy = -13.4 eV
HOMO-LUMO gap = 9.72 eV
LUMO energy = -0.13556 hartree

Structure (ORCA input):
```
! RIJCOSX wB97M-V def2-TZVPD def2/J DEFGRID3
* xyz 1 1
N -0.635 -16.217 -14.826
H -1.360 -15.915 -14.191
H -0.280 -17.139 -14.615
H 0.178 -15.618 -14.822
H -1.178 -16.196 -15.678
O 1.544 -19.703 -13.805
H 2.186 -20.343 -14.112
H 1.558 -19.789 -12.851
O 1.187 -13.920 -19.089
H 0.867 -13.187 -18.563
H 1.558 -13.510 -19.870
O -3.370 -16.390 -17.959
H -3.209 -16.529 -18.892
H -3.592 -17.258 -17.622
O -3.591 -11.623 -16.663
H -3.254 -12.174 -17.370
H -4.211 -11.034 -17.093
O -3.550 -15.471 -10.819
H -3.486 -15.136 -9.925
H -4.216 -14.922 -11.234
O 2.852 -14.139 -13.442
H 3.720 -14.232 -13.837
H 2.591 -13.242 -13.648
O 1.515 -13.168 -9.481
H 0.646 -13.261 -9.090
H 1.403 -13.459 -10.386
O -1.066 -11.763 -13.076
H -1.027 -11.164 -12.330
H -1.845 -11.492 -13.561
O 4.826 -13.660 -17.672
H 5.033 -13.073 -18.399
H 3.884 -13.816 -17.750
*
```


Which one sits at the top of the stability order? run 2 does.


Run 1
Here is an isolated molecule of C4H11NS from the OMol25 dataset. Energies are from wB97M-V/def2-TZVPD.

Summary:
Highest occupied orbital energy = -8.3 eV
HOMO-LUMO gap = 9.37 eV
LUMO energy = 0.03930 hartree

Structure (ORCA input):
```
! RIJCOSX wB97M-V def2-TZVPD def2/J DEFGRID3
* xyz 0 1
C 2.914 -0.911 0.777
C 1.668 -1.124 0.011
S 0.649 0.425 0.037
C -0.930 -0.344 -0.307
N -2.162 0.294 0.229
C -2.831 1.216 -0.701
H 3.658 -1.706 0.746
H 3.460 -0.133 0.217